HomeMy WebLinkAboutThe Lucknow Sentinel, 1976-05-12, Page 1$8.00 ,A Year In Advance $2.00 Extra To U.S.A. WEDNESDAY,, MAY 12, 1976' Single Copy 20c # 24 Pagei
Chairman Thomas Lambert
said last week neither he nor the
director of education will-gobefore
Bruce County Council to explain
the Bruce Board of , Education
badget for 1976.
Mr. Lambert was following the
recommendation of most board
members in refusing the request
from county council.
County Council on April' 21
criticized • the education budget
and urged local municipalities to
withhold school levies. Council
later passed a motion asking the
school board to explain the budget
at the May council session. •
Board finance chairman, Alan
Whicher, in urging the chairman
not to , go to council, said the board
is 'not accountable to council but
directly to the taxpayers.
He said if council wants informa-
tion about the board, it should
PUblic speaking competitions
made possible to students attend-'
ing St. Joseph's School at Kings-
bridge,, by monies ~left for this
purpose by the Garvey Estate, took
place in the school gymnasium on
WednesdaY afternoon, May. 5 for
students from Kindergarten to
Two Girls
Graduate From
C G.I.T Monday
The LucknoW Canadian Girls In
Training held their, Mother and
Daughter evening on Monday in
the Lucknow United Church.. The
girls presented their mothers -with
corsages which they had made.
Everyone looked over displays, and
baby -pictures of the girls. •
Pregident, Joanne Ritchie, wel7
comedeveryone and led in grace.
/She introduced the guests who
were participating in the program
.and each girl introduced her guest.
Ladies of the United Church
Women served the delicious dinner.
Takes Nursing
Position In North
Jdan Ferguson R.N., daughter of
Lester and' Audrey' Ferguson of
ilur'on Township, who has been
nursing in Red Deer, Alberta, has
accepted a position in 'Yellow Knife
General Hospital, North West
Territories, starting May 3rd.
Joan is thrilled with' the aecom7
madation in this city of 5000 or
more, although food' and services
are very expensive.
Her sister Anne has remained' at
Lacombe; Alberta, where she is
employed. Anne drove Joan to
Edmonton to get the plane to
Mrs. John McMurchy of Luck-
now is sending a Lucknow Sentinel subsecription•to her granddaughter,
hall, to keep her in touch with this
*immunity while. in the north.'
Grade 4. COniratulations to all
who took part.
The winners were:
Kindergarten: My Bed = 1. Lisa
Card,„ 2. Sean Witson,, 3. Patricia
Arsenault, Maurice Delbergue,
Eight Join As
Church Members
Eight young people were' con-
firmed into membership of Luck-
now United Church at the. Sunday
morning service by the minister,
Rev. Doug Kaufman.
They were Grace Alton, Lorna
Boyle, Kathryn Brooks, Mary Lynn
Cayley, Edith Greer, Barbara
Henderson, Donald Ritchie, Susan
Thompson.' They were welcomed
by Harvey Webster, 'clerk of
Special music was provided by
trombonist Dale Lougheed; the
trumpet trio of Paul Finlay, David
Atkinson and Colin /Ca merona with
accompanist Mrs. Anne Pritchard;
the church char with soloist Mrs.
Allan Johnson.
Mary Anne Alton of R. R. 2
Lucknow, daughter of Mr. and
Mrs. Blake Alton, was one, , of ten
Canadian 4-H members who met
recently in Ottawa prior to travell-
ing to the U.S. National' 4-H
Conference in Washington D.C.
The Canadian group, one from
each province, arrived in Ottawa on
April 22nd for a one day orientation
session. The Ottawa visit included
some sight-seeing in the nation's
capital and a reception with the
Governor General, the Patron of
4-H in Canada. Before leaving
Ottawa for Washington the dele-
gates received their Certificate of
Canadian Citizenship at" a special
Accompanying the delegation to
Washington was Margaret Woof,
Supervisor of Junior Extension,
Home Economics Branch of the
Ontario 'Ministry of Agriculture and
Food. • •
The program in Washington was
problem with trustees and council
getting together.
"Let's, face it, we don't have to
collect taxes. We're not in the
council position of facing problems
from taxpayers over' the taxes we'
levy. I see no harm' in members of
this board going to council."
The board should , establish 'a
better rapport with council,
`Cameron McAuley of Ripley said.
He was supported by past chair
man, Alan Dent, who said there are
advantages in getting together on
an unoffieial basis.
"They are individual taxpayers
unhappy with what we have done,"
he said.
Mr. Loucks said 'good may come
from the shift in education costs.
Putting more of the burden on lOcal
taxpayers will be beneficial be-
cause people' will know that the
things they ask for must cost them
Retires After 21
Years Service
With Province
Francis Gemmell of Ripley;
Engineering Officer with the Com-
rnunieations Division of the Minist-'
ry.of Transportation and Commun-
ications, has retired after 21 years,
of service with the Ontario Govern-
ment. Sixteen years of this service
was with the Telephone Services
Commision in various • positions.
He travelled extensively in Ontario
out of the Toronto office. Prior to
this he was in the telephone
industry' with the Huron and
Kinloss Telephone System for '29
years, first as lineman and later
Mrs. Gemmell and family, Frank
and Marny Gemmell of Brampton
and Ann. and • Ken Smith of
Kitchener, attended a dinner in his
honour in Toronto. He was
presented with a plaque for 21
years faithful service, from the
Ontario Government, also gifts
from the office staff.
Pictured left to right are Rick
Johnson, Alberta; fustin Niettwen-
Susan Hooey, daughter of Mr.
and Mrs. tarl Hooey, R. R. 1
Ripley, graduated recently from
-- Someone pasted crystal structures at this point --
-- begin --
1.
For CsSiBiS4, a structure optimized by DFT (PBE) gives the theoretical powder XRD pattern in this record (Cu Ka).
Kinematic intensities with the Lorentz-polarization factor, no thermal factor.

```
CsSiBiS4
1.0
6.606 0.000 0.000
0.000 6.869 0.000
-2.934 0.000 9.015
Cs Si Bi S
2 2 2 8
Direct
0.225 0.250 0.437
0.775 0.750 0.563
0.276 0.750 0.162
0.724 0.250 0.838
0.269 0.250 0.963
0.731 0.750 0.037
0.078 0.750 0.936
0.085 0.750 0.304
0.491 0.506 0.199
0.491 0.994 0.199
0.509 0.006 0.801
0.509 0.494 0.801
0.915 0.250 0.696
0.922 0.250 0.064
```

Most intense lines, 10 to 80 degrees two-theta, most intense first:
two_theta	intensity
19.15	1000
30.66	494
24.19	486
25.94	459
32.78	378
38.85	346
29.19	341
19.69	265
23.61	236
32.03	234

2.
For K5Al, a structure optimized by DFT (PBE) gives the theoretical powder XRD pattern in this record (Cu Ka).
Kinematic intensities with the Lorentz-polarization factor, no thermal factor.

```
K5Al
1.0
7.591 -2.292 0.000
7.591 2.292 0.000
-4.197 0.000 9.978
K Al
5 1
Direct
0.000 0.000 0.000
0.027 0.027 0.400
0.368 0.368 0.626
0.708 0.708 0.850
0.736 0.736 0.251
0.367 0.367 0.125
```

Most intense lines, 10 to 80 degrees two-theta, most intense first:
two_theta	intensity
25.47	1000
27.28	978
24.78	622
25.64	530
38.44	234
47.04	232
39.32	211
21.25	206
23.46	205
47.52	167

----------

1.
Tl6TeO12: calculated powder diffraction line list (copper Kα), based on a cell relaxed with PBE.
No peak broadening, texture or thermal motion is included.

The 6 most intense peaks (2θ = 15–90°), in order of falling intensity:
Position (°2θ)  Rel. int.
29.2  100
33.4  52
27.7  37
47.0  29
57.1  28
48.9  25

Structure:
```
data_Tl6TeO12
_chemical_formula_sum 'Tl18 Te3 O36'
_cell_length_a 9.8487
_cell_length_b 9.8487
_cell_length_c 9.6782
_cell_angle_alpha 90.00
_cell_angle_beta 90.00
_cell_angle_gamma 120.00
_symmetry_space_group_name_H-M 'R -3'
_symmetry_Int_Tables_number 148
_symmetry_space_group_name_Hall '-R 3'
loop_
_atom_site_label
_atom_site_type_symbol
_atom_site_fract_x
_atom_site_fract_y
_atom_site_fract_z
Tl1 Tl 0.0449 0.2584 0.1509
Te1 Te 0.0000 0.0000 0.5000
O1 O 0.0234 0.2247 0.8996
O2 O 0.0390 0.1839 0.3890
```


2.
Tm2TeO2: calculated powder diffraction line list (copper Kα), based on a cell relaxed with PBE.
No peak broadening, texture or thermal motion is included.

The 6 most intense peaks (2θ = 15–90°), in order of falling intensity:
Position (°2θ)  Rel. int.
29.5  100
36.9  48
47.1  33
61.9  23
56.6  16
37.8  16

Structure:
```
data_Tm2TeO2
_chemical_formula_sum 'Tm2 Te1 O2'
_cell_length_a 3.8551
_cell_length_b 3.8551
_cell_length_c 7.1429
_cell_angle_alpha 90.00
_cell_angle_beta 90.00
_cell_angle_gamma 120.00
_symmetry_space_group_name_H-M 'P -3 m 1'
_symmetry_Int_Tables_number 164
_symmetry_space_group_name_Hall '-P 3 2"'
loop_
_atom_site_label
_atom_site_type_symbol
_atom_site_fract_x
_atom_site_fract_y
_atom_site_fract_z
Tm1 Tm 0.3333 0.6667 0.3063
Te1 Te 0.0000 0.0000 0.0000
O1 O 0.3333 0.6667 0.6196
```
-- stop --
Toronto Nursing School.
At Convention
In California
Four couples 'from Lucknow
attended' the District 4A3 'Lions
Club convention in Santa Maria,
California. •
Grant Chisholm, District Gover-,
nor A-9; Art Helm, president of the
LncknoW Club; Barry McDonagh, a
past president and Lorne Cook,,
along with their wives, attended
and took the opportunity to 'do
some sightseeing while in Californ-
• Mrs Effie Collinson of Kintail
was honoured on the occasion of
her 96th birthday, .when a party
was held on Sunday, May 9th in her.
honour at the home of her son Jack
and Mary Collinson, Lueknow. The
actual date of , her. birthday was
May, 11th.
Others present Were her other,
two sons Bill of Kintail, Alvin and
hof, Quebec; Gordon Cowan,
Aquitaine Company of Canada
Limited, Calgary; His Excellency
Named Manager •
Of Co-operative'
At Guelph
• Jird...M.acKinnon. of `uelpli•, son
of Mr; and Mrs,. Fraser .MacKinnon
of• Kinloss: Township, has ,been
appointed Branch Manager of 'the
United, District Co-operatives of
Ontario in Guelph,'
He has been with Co-operatives
since 'graduating „five years ago
from the. University of Guelph
the '2 year . diploma course in •
Agriculture. He was at Cayuga and
Orangeville fora short time before
going to Guelph.
Dryer Fire Is
Cause Of
## Data records that have nothing to do with the article
NaPr2Cl6: computed XRD peak list (Cu Kα, 1.54184 Å), based on the GGA-PBE geometry in the Materials Project.
Lines closer than 0.1° are merged.

Structural model:
```
NaPr2Cl6
1.0
7.9899 0.0000 0.0000
0.0000 3.9557 0.0000
-7.9893 0.0000 13.8626
Na Pr Cl
2 4 12
direct
0.0000 0.0000 0.0000
0.0000 0.5000 0.5000
0.3333 0.2501 0.3333
0.3333 0.2499 0.8333
0.6667 0.7501 0.1667
0.6667 0.7499 0.6667
0.0809 0.7486 0.3495
0.0809 0.7514 0.8495
0.3014 0.7491 0.6906
0.3014 0.7509 0.1906
0.3811 0.2503 0.0398
0.3811 0.2497 0.5398
0.6189 0.7503 0.4602
0.6189 0.7497 0.9602
0.6986 0.2491 0.8094
0.6986 0.2509 0.3094
0.9191 0.2486 0.1505
0.9191 0.2514 0.6505
```

Largest 10 diffraction maxima, low angle first, 15° ≤ 2θ ≤ 90°:
22.2°, d 3.998, I = 64.0; 25.9°, d 3.435, I = 66.8; 31.8°, d 2.812, I = 26.5; 34.3°, d 2.618, I = 17.3; 34.4°, d 2.605, I = 100.0; 39.0°, d 2.308, I = 54.0; 41.4°, d 2.183, I = 81.7; 53.0°, d 1.728, I = 16.5; 61.8°, d 1.502, I = 20.9; 63.1°, d 1.474, I = 35.0



NaPr2Cl6: computed XRD peak list (Cu Kα, 1.54184 Å), based on the GGA-PBE geometry in the Materials Project.
Lines closer than 0.1° are merged.

Structural model:
```
NaPr2Cl6
1.0
7.9977 0.0000 0.0000
-3.9989 6.9262 0.0000
0.0000 0.0000 3.9567
Na Pr Cl
1 2 6
direct
0.0000 0.0000 0.0000
0.3333 0.6667 0.7509
0.6667 0.3333 0.2491
0.0798 0.6974 0.2495
0.3026 0.3824 0.2495
0.3824 0.0798 0.7505
0.6176 0.9202 0.2495
0.6974 0.6176 0.7505
0.9202 0.3026 0.7505
```

Largest 10 diffraction maxima, low angle first, 15° ≤ 2θ ≤ 90°:
22.2°, d 3.999, I = 64.2; 25.9°, d 3.436, I = 68.0; 31.8°, d 2.813, I = 27.4; 34.3°, d 2.618, I = 17.4; 34.4°, d 2.606, I = 100.0; 39.0°, d 2.309, I = 54.1; 41.4°, d 2.183, I = 83.2; 61.3°, d 1.511, I = 17.0; 61.8°, d 1.502, I = 20.9; 63.0°, d 1.475, I = 35.1



Rb2NaTbCl6: computed XRD peak list (Cu Kα, 1.54184 Å), based on the GGA-PBE geometry in the Materials Project.
Lines closer than 0.1° are merged.

Structural model:
```
Rb2NaTbCl6
1.0
0.0000 5.4101 5.4101
5.4101 0.0000 5.4101
5.4101 5.4101 0.0000
Rb Na Tb Cl
2 1 1 6
direct
0.2500 0.2500 0.2500
0.7500 0.7500 0.7500
0.0000 0.0000 0.0000
0.5000 0.5000 0.5000
0.2555 0.2555 0.7445
0.2555 0.7445 0.2555
0.2555 0.7445 0.7445
0.7445 0.2555 0.2555
0.7445 0.2555 0.7445
0.7445 0.7445 0.2555
```

Largest 10 diffraction maxima, low angle first, 15° ≤ 2θ ≤ 90°:
23.3°, d 3.825, I = 100.0; 27.3°, d 3.262, I = 28.6; 28.6°, d 3.124, I = 23.1; 33.1°, d 2.705, I = 83.9; 40.9°, d 2.209, I = 46.9; 47.5°, d 1.913, I = 56.8; 53.6°, d 1.711, I = 21.8; 59.2°, d 1.562, I = 19.0; 64.4°, d 1.446, I = 25.0; 79.2°, d 1.210, I = 24.0



Rb2NaTmCl6: computed XRD peak list (Cu Kα, 1.54184 Å), based on the GGA-PBE geometry in the Materials Project.
Lines closer than 0.1° are merged.

Structural model:
```
Rb2NaTmCl6
1.0
0.0000 5.3601 5.3601
5.3601 0.0000 5.3601
5.3601 5.3601 0.0000
Rb Na Tm Cl
2 1 1 6
direct
0.2500 0.2500 0.2500
0.7500 0.7500 0.7500
0.0000 0.0000 0.0000
0.5000 0.5000 0.5000
0.2577 0.2577 0.7423
0.2577 0.7423 0.2577
Smoke Damage
Fire in an electric clothes dryer
at the Lucknow home of Jim Boyle
did considerable smoke damage in
an , early. evening outbreak 'on
The Boyle family were fortunate-
ly home at the time and noticed the
problem before serious damage
Firemen used the smoke ejector
to, clear the basement area where
th&dryer was located, so they could
get to the source, of the problem.
To onlookers, the whole• house
seemed to be , on fire with smoke
coming out 'everywhere. But the
dryer was the only source of fire
and was quickly . brought under
Return On
Land Venture
A local farmer, Walter. "Perky"
Arnold, lost his wallet while
ploughing last fall. It contained a
cheque and some cash.
Luckily, his wife Lorraine cultiv-
ated the garden this year and up '
came the wallet• with everything
Now that's what you cat
investing your money in land and
the Governor General; Peggy
Loder, Newfoundland;, Mary Anne
Alton, Ontario.
Accountobie DireCtilk ITO To xpiaers
. .
school Bard Won't Go Before County
come to the board offices.
He queStioned whether finances
'should be a concern of9cOuncil. "I •
don't believe municipal' taxes are
that much of a burden," Mr,
Whicher said. - •
Trustee George 'Loucks of CheS-
ley said 'council has continually
been sniphyg at• the board, making
false, malicious and misleading
Mr. Loucks also put the finger on
the press, saying the board "has
not received fair press coverage."
County Council statements re-
ceived wide press coverage, he
said. 'What we have given to the
press was not widely publicized.
All the problems resulted • from,
county council. talking about things
they knew nothing about," Mr.
Loucks said.
Trustee Douglas Kre'utivveiser. of
Southampton, a foriner county'
council warden; said 'he sees no.'
Compete For Garvey Awards At
Kingsbridge Public Speaking Contest
One Of Ten Canadian 4-H Membe
Honoured On
96th Birthday
CONTINUED ON PAGE 17 'getting a return.
rs To Visit Ottawa and , WashingfontF